So, I'm reading a recent Question on the Q&A board, and there was something posted about GAP financing.----------------------------------------------------------The Question Asked: Do you know of any solid GAP financiers? I need a good, reliable, solid Gap Financier in order to close more loans a...
If you're been selling real estate for any length of time, you'll have your stories!This is mine . . . about a Feng Shui home buyer!The phone rang and I answered it. The woman introduced herself as the daughter, calling on behalf of her mother. They wanted to meet (she said "interview") some lo...
This is an EXCELLENT post by Jeff Dowler. After reading the 8 points, one might think this is how all real estate agent practice. Then one wants to think . . . Most?!?I'd say, it's more like "some" agents, and that's a shame. What I experience in the level of Fiduciary Duties to clients is pat...
This is from a new blogger with Active Rain, say "Hello" to Lynnea Miller.The message of Lynnea's post is clear -- there really is a lack of "what ever happened to"When real estate agents commiserate with this, is it any wonder that the consumers / general public have the same gripe? As the manag...
Jerry Newman a colleague in the San Antonio real estate market wrote this EXCELLENT post the other day: In New Construction -- "Who's Looking Out For Your Interests?"And the same question can be asked right here in my local real estate market of Portland Metro!The office sales reps -- many are l...
2016 Garlic Festival - Fun Stinks in North PlainsIf you're looking for a fun summer activity, and don't mind the stink, head on over to North Plains thisAugust 12, 13th and 14th. . . 19th Annual Fun Stinks Elephant Garlic FestivalAdmission if FREE! I love GARLIC and will be there . . . I think I'...
Between two parts of the text: records of crystals:
'''
No. 1
For ThCuN2, a crystal structure in the Materials Project, relaxed with GGA-PBE gives the computed powder diffractogram in this record (λ = 1.5418 Å (Cu Kα)).

Top 8 peaks for 10 to 90 degrees two-theta, by angle:
2θ = 22.38°, I 42
2θ = 31.86°, I 53
2θ = 35.07°, I 100
2θ = 42.00°, I 23
2θ = 45.68°, I 28
2θ = 58.86°, I 45
2θ = 64.87°, I 15
2θ = 74.10°, I 13

```
ThCuN2
1.0
3.972 0.000 0.000
0.000 3.972 0.000
0.000 0.000 3.346
Th Cu N
1 1 2
Cartesian
0.000 0.000 0.000
1.986 1.986 1.673
0.000 1.986 1.673
1.986 0.000 1.673
```

No. 2
For InBr3, a crystal structure in the Materials Project, relaxed with GGA-PBE gives the computed powder diffractogram in this record (λ = 1.5418 Å (Cu Kα)).

Top 8 peaks for 10 to 90 degrees two-theta, by angle:
2θ = 13.06°, I 66
2θ = 15.37°, I 26
2θ = 27.19°, I 26
2θ = 31.16°, I 100
2θ = 31.39°, I 49
2θ = 44.26°, I 36
2θ = 45.37°, I 33
2θ = 56.14°, I 20

```
InBr3
1.0
6.919 0.000 0.000
0.000 12.019 0.000
-2.250 0.000 6.780
In Br
4 12
Cartesian
0.000 1.995 0.000
0.000 10.024 0.000
3.460 4.015 0.000
3.460 8.004 0.000
0.981 0.000 1.586
-0.022 2.146 5.213
-0.022 9.873 5.213
1.231 3.864 1.568
1.231 8.155 1.568
0.229 6.010 5.194
4.440 6.010 1.586
3.438 3.864 5.213
3.438 8.155 5.213
4.691 2.146 1.568
4.691 9.873 1.568
3.689 0.000 5.194
```

No. 3
For Rb2Li3GaO4, a crystal structure in the Materials Project, relaxed with GGA-PBE gives the computed powder diffractogram in this record (λ = 1.5418 Å (Cu Kα)).

Top 8 peaks for 10 to 90 degrees two-theta, by angle:
2θ = 25.17°, I 26
2θ = 26.48°, I 68
2θ = 30.71°, I 33
2θ = 34.42°, I 100
2θ = 39.30°, I 31
2θ = 39.53°, I 30
2θ = 52.03°, I 28
2θ = 61.65°, I 25

```
Rb2Li3GaO4
1.0
-2.494 4.955 5.823
2.494 -4.955 5.823
2.494 4.955 -5.823
Rb Li Ga O
4 6 2 8
Cartesian
1.183 1.269 0.000
1.183 -1.269 5.823
1.311 6.224 0.000
1.311 3.686 5.823
2.494 2.576 -2.912
0.000 0.000 2.912
0.000 2.379 2.912
2.494 2.576 2.912
0.000 0.000 8.735
0.000 2.379 8.735
2.494 0.000 2.912
0.000 4.955 2.912
1.330 -1.173 1.988
1.164 3.782 -1.988
3.658 1.173 1.988
1.330 1.173 3.835
1.164 3.782 1.988
-1.164 3.782 3.835
1.330 1.173 7.812
1.164 6.128 3.835
```

No. 4
For SrH10Pb2Br6O5, a crystal structure in the Materials Project, relaxed with GGA-PBE gives the computed powder diffractogram in this record (λ = 1.5418 Å (Cu Kα)).

Top 8 peaks for 10 to 90 degrees two-theta, by angle:
2θ = 11.91°, I 96
2θ = 18.92°, I 61
2θ = 20.16°, I 79
2θ = 29.76°, I 91
2θ = 30.05°, I 100
2θ = 36.16°, I 61
2θ = 36.43°, I 96
2θ = 39.23°, I 57

```
SrH10Pb2Br6O5
1.0
7.768 -6.253 0.000
7.768 6.253 0.000
-3.933 0.000 8.579
Sr H Pb Br O
2 20 4 12 10
Cartesian
4.818 5.996 6.434
6.785 -5.996 2.145
-0.205 1.052 5.299
1.909 1.486 1.921
1.702 1.518 3.481
5.118 4.188 3.718
4.060 2.880 6.233
8.451 4.188 0.571
1.762 -1.052 1.009
-0.058 -1.486 6.210
5.575 2.880 6.635
-0.264 -1.518 7.770
11.867 1.518 0.809
6.027 -2.880 1.944
11.661 1.486 2.368
9.840 1.052 7.570
3.151 -4.188 8.007
7.542 -2.880 2.345
6.485 -4.188 4.861
9.900 -1.518 5.098
'''
About the only thing I like about Trump is the clever catch phrase: "You're Fired!"Beyond that . . . meh.And for equal footing, about the only thing I like about Hillary Clinton is . . . . . . . . nothing. We're doomed.Any who, the other day I'm at a home inspection for one of the nicest couple...
Barbara Todaro's (soon to be featured) post Time is Money But Only When the Time is Used to Make Money had some very good examples. One of which was knowing the product.It got me thinking . . . and provided my "food for thought" for this post. {wink}Setting the Table in Real EstateAs Barbara poi...
Au Pays d'Alice, par Ibrahim Maalouf et Oxmo Puccino Alice in Wonderland, down the rabbit hole . . . won't you join me. Ibrahim Maalouf is the conductor and composer of Au Pays d'Alice, combining his love for Jazz (playing the trumpet) and composing. This homage to a childhood classic should ta...
This is an EXCELLENT post!! It's about what borrowers/buyers should be asking . . . AND UNDERSTANDING . . . about their loan.I met with a nice couple this afternoon, first time buyers. We discussed their loan, and I went over a few questions they seemed to be unware of regarding their loan. Th...